Girl Crush
Do you ever meet amazing people and wonder how you ever lived your life without them?? And by meet - I mean read their blog obsessively and stalk their instagram feed until you know basically everything about them?! This is the joy and beauty of social media. Connecting amazing people who otherwise would never have had the chance to become soul mates! And today's guest blogger is one of those gems that - gosh - I cant even express my love for!! She's real life. She's wit, grit, endurance, beauty, and for me - a staple of my online life. Meet Rachel Kirkham:

Hi Everyone! About a week ago, Christy asked me to guest-blog for her and I squealed. For real. I've never done this before and I’m super excited!
I “met” Christy by stalking Instagram. I’m a total pro at it,it’s a little scary. I saw all her gorgeous pics and realized that her personality was pretty much awesome and I knew it was a match made in cyber-heaven. And now I need her to get her butt to Jersey so we can hang because she’s the coolest.
So who am I? My name is Rachel and I’m a mediocre mother of 3. My husband is a first year fellow in a Pulmonology and Critical Care fellowship in Southern New Jersey and we live just outside of Philadelphia. We have 2 years until we are officially done and we can call ourselves functional adults even though we’re in our mid-thirties and should have been functioning adults a long time ago. I write about my adventures in motherhood at - you should check it out.
### What comes next are data records, not part of the entry
- - -
# 1
The following is a DFT calculation (ωB97M-V/def2-TZVPD) of a structure of composition C3ErO.

M: 219.29 g mol⁻¹
Energy relative to the best compared isomer or geometry (same formula, charge and spin): 0.0 kJ/mol
Max |F|: 0.0882 hartree/bohr
⟨S²⟩: 6.0019
Spin multiplicity: 5
Highest occupied orbital energy (alpha / beta): -16.69 / -19.53 eV
Total charge: +2
Frontier orbital gap (alpha / beta): 5.9 / 8.9 eV

Structure (XYZ):
```
5
Properties=species:S:1:pos:R:3:forces:R:3:mulliken_charge:R:1
C 0.842275 0.442184 -2.346963 2.2 3.3 2.2 0.351
C 1.073040 1.223400 -0.778262 -1.9 -3.2 0.9 0.294
O 1.600035 1.533254 -1.977035 -1.4 -2.1 -2.5 -0.022
C 0.374538 0.253532 -0.305760 0.6 1.5 0.3 -0.505
Er -0.918096 -1.000656 1.599126 0.6 0.5 -1.0 1.882
```
Positions in Å, forces in eV/Å.

***

# 2
The following is a DFT calculation (ωB97M-V/def2-TZVPD) of a cluster of 2 separate species, C3FIO4 in total.

M: 245.93 g mol⁻¹
Energy relative to the best compared isomer or geometry (same formula, charge and spin): 218.3 kJ/mol
Max |F|: 0.0278 hartree/bohr
Highest occupied orbital energy: 1.16 eV
Total charge: -2
Frontier orbital gap: 4.3 eV

Structure (XYZ):
```
9
Properties=species:S:1:pos:R:3:forces:R:3:mulliken_charge:R:1
C -1.043490 0.337668 1.586217 0.7 -0.5 -1.2 0.447
C 1.832189 -0.651440 -1.405549 -0.2 0.0 0.4 0.427
C -0.370853 0.078138 0.161201 0.6 0.3 0.8 -0.284
O -0.452558 1.245046 2.211337 -0.2 0.2 0.5 -0.731
O 1.931735 -1.789976 -1.218418 0.0 -1.3 0.1 -0.277
O -1.940608 -0.449948 1.964734 0.1 0.2 0.2 -0.726
O 1.988782 0.439874 -1.744714 0.2 1.0 -0.5 -0.268
F 0.081966 1.314988 -0.352774 -0.7 0.2 0.2 -0.203
I -2.027164 -0.524350 -1.202035 -0.6 -0.1 -0.6 -0.386
```
Positions in Å, forces in eV/Å.

***

# 3
The following is a DFT calculation (ωB97M-V/def2-TZVPD) of the ion C3H10BClOP with charge -1.

M: 139.35 g mol⁻¹
Energy relative to the best compared isomer or geometry (same formula, charge and spin): 27.2 kJ/mol
Max |F|: 0.0549 hartree/bohr
Highest occupied orbital energy: -4.40 eV
Total charge: -1
Frontier orbital gap: 7.9 eV

Structure (XYZ):
```
17
Properties=species:S:1:pos:R:3:forces:R:3:mulliken_charge:R:1
C 2.305957 -0.653425 -0.053718 -0.3 0.4 0.6 -1.247
C 1.486845 0.610956 0.341775 -0.5 -0.6 -1.6 0.493
Cl 2.340516 2.043657 -0.487293 0.1 0.1 0.5 -0.313
C 0.067194 0.523267 -0.264793 0.2 0.2 0.4 -1.292
B -1.036042 -0.174941 0.722350 0.0 -0.6 -0.4 0.277
P -2.698429 -0.235307 -0.299569 0.0 2.8 0.4 0.319
O -3.510489 1.071110 -0.210149 0.2 -1.5 -0.2 -0.728
H 2.998064 -0.406062 -0.863370 -0.1 -0.1 0.2 0.386
H 1.612996 -1.420740 -0.414008 0.1 0.0 0.2 0.271
H 2.857000 -1.037245 0.813976 0.0 0.0 -0.3 0.285
H 1.502015 0.825861 1.409327 0.0 0.1 -0.2 0.325
H -0.282245 1.536750 -0.509468 0.1 -0.2 0.0 0.348
H 0.153685 -0.045878 -1.207266 0.0 0.3 0.1 0.324
H -1.238262 0.464586 1.726101 -0.1 0.1 0.1 -0.170
H -0.790013 -1.337191 0.986520 0.2 -0.2 0.1 -0.196
H -3.478484 -1.398374 -0.011460 0.1 0.0 -0.4 -0.018
H -2.290308 -0.367023 -1.678955 -0.3 -0.7 0.3 -0.066
- - -
### So much for the data records
Since my husband is always working and rarely ever home I found myself straight up bored and decided to stop ignoring my gut and start something I was passionate about.
30 years ago today (April 23rd) my father took his own life. The circumstances surrounding his suicide are still somewhat of a mystery to me but the bottom line is that he felt so alone and so horrible that he thought that ending his life was the only way out. This breaks my heart and I decided that I needed to do something to bring this horrible epidemic into the light. Enter, Wick’d by Jolie Fête - a line of candles that bring awareness to suicide and how to prevent it.
A lot of soul has gone into the project. I really mean it when I say that my whole heart and should is in every single candle made. I make them in my kitchen late at night after my kids have gone to bed and each time I pour out a batch I think of the programs the sale of the candles will help fund. You see, 10% of all the money made from the candles will go directly to the Association for Suicide Prevention and help fund programs that will provide support and therapy for people who are suffering.
Unfortunately my father isn’t my only loved one to take their life and the fact that I can count on 2 hands how many people I personally know who have done so, breaks my heart. It was time for me to do something about it, no matter how small it may be. It is my goal to use the candles to get people talking about suicide. Suicide is still such a taboo subject and it needs to be talked about freely and often for people to really start doing something to stop it. I believe that it is preventable and we have a duty to help prevent it.
What does all of this have to do with style? Well I’ll tell you what…nothing. JUST KIDDING! It takes a lot to work out of your home and some days it’s so exhausting that you don’t want to do anything but stay in PJs and put your greasy hair in a bun and call it a day. I do this often assuming I ever get out of my gym clothes. But on the days that I dedicate to candle making, I have a few staples that make my life easier.
1. My J-brand jeans with holes in the knees (so broken in and comfy they could pass as pajama jeans).
2. The t-shirt I got from running my first race so that I can look down and be motivated to keep going even when I’m tired.
3. My Monica Potter Home apron which is PERFECT for the crafty lady. It has everything and is definitely my staple.
4. Comfy shoes because standing up for hours making candles is a beast on your back.
I can’t say that I’m a beacon of style inspiration but I’m a pretty firm believer that having a uniform when working on your biz is actually pretty crucial. I work my best when I feel my best and these items are key to helping me be comfortable and productive.
When I’m not up to my elbows in wax, I’m usually on the floor. I’m either banging out some yoga poses with my little people, playing cars with my 2 year old, or dressing and undressing American Girl dolls with my daughters. We keep it casual in the Kirkham house for sure - jeans and t-shirts, fun maxi dresses, gym clothes, and ponytails pretty much daily. That’s not to say I don’t love to dress up. Every once in a while I leave the house without children and then I kick it up a notch and try and be brave with my ensemble. My style inspirations are pretty much all drawn from Kate Spade. I can’t afford her stuff but I can try and recreate it with items from Target, Old Navy, and my newly discovered love, TJ Maxx. A few statement pieces from my lady Kate and I’m set.
Behind every great and successful woman is a fabulous pair of shoes, a killer black dress, and an attitude that knocks down barriers and pushes boundaries. I’m knocking down the stigma of suicide one comfy outfit and candle at a time!
Xx, Rach